What is needed: find the line further below that holds "49.91", then transcribe that line and all lines after it there.

<<<
No. 1
Starting from a structure optimized by DFT (GGA-PBE), the powder XRD pattern of Sm4ZnRh4 was computed for λ = 1.5418 Å (Cu Kα).
Lines closer than 0.1° are merged.

a b c (Å): 8.5499 8.5499 5.6061
angles (deg): 90.00 90.00 90.00
Space group P4_2/n (No. 86, origin choice 2)
Inequivalent atoms, fractional coordinates:
1 Sm 0.0434 0.6836 0.1158 x8
2 Zn 0.2500 0.2500 0.2500 x2
3 Rh 0.0014 0.6392 0.6143 x8

Principal peaks in the range 5 to 70 degrees two-theta, low angle first:
(hkl)	2θ (°)	Rel. int.
2 1 1	28.25	15.2
2 2 0	29.55	15.6
1 3 0	33.13	100.0
1 0 2	33.65	53.8
3 1 1	36.91	11.1
1 2 2	39.88	55.4
4 2 0	47.56	21.5
2 3 2	50.41	35.3
4 1 2	55.09	26.7
2 5 2	67.84	13.9

=====

No. 2
Starting from a structure optimized by DFT (GGA-PBE), the powder XRD pattern of AcCeGa4 was computed for λ = 1.5418 Å (Cu Kα).
Lines closer than 0.1° are merged.

a b c (Å): 4.3833 4.3833 15.1392
angles (deg): 90.00 90.00 90.00
Space group I-4m2 (No. 119)
Inequivalent atoms, fractional coordinates:
1 Ac 0.0000 0.0000 0.0000 x2
2 Ce 0.0000 0.5000 0.2500 x2
3 Ga 0.0000 0.0000 0.4136 x4
4 Ga 0.0000 0.5000 0.6694 x4

Principal peaks in the range 5 to 70 degrees two-theta, low angle first:
(hkl)	2θ (°)	Rel. int.
1 0 3	26.94	39.4
1 1 2	31.18	100.0
1 0 5	36.05	51.3
2 0 0	41.19	39.2
1 0 7	46.84	23.9
2 1 3	49.91	14.9
2 1 5	55.87	29.0
2 2 0	59.66	13.1
2 1 7	64.11	19.1
3 1 2	68.86	20.6

=====

No. 3
Starting from a structure optimized by DFT (GGA-PBE), the powder XRD pattern of Tb4HoCd was computed for λ = 1.5418 Å (Cu Kα).
Lines closer than 0.1° are merged.

a b c (Å): 8.7022 14.1549 6.3100
angles (deg): 90.00 109.20 90.00
Space group C2/c (No. 15)
Inequivalent atoms, fractional coordinates:
1 Tb 0.0980 0.1909 0.0432 x8
2 Tb 0.2152 0.3775 0.3778 x8
3 Ho 0.0000 0.4110 0.7500 x4
4 Cd 0.0000 0.0005 0.7500 x4

Principal peaks in the range 5 to 70 degrees two-theta, low angle first:
(hkl)	2θ (°)	Rel. int.
1 3 1	28.41	54.5
1 1 -2	29.01	40.9
3 1 -1	31.78	91.5
0 2 2	32.61	35.4
2 2 1	32.81	100.0
2 2 -2	33.30	32.6
1 5 0	33.46	93.0
2 4 -1	33.58	33.7
1 3 -2	34.20	80.8
4 2 -3	54.20	25.6

=====

No. 4
Starting from a structure optimized by DFT (GGA-PBE), the powder XRD pattern of Pm3Er2Te6 was computed for λ = 1.5418 Å (Cu Kα).
Lines closer than 0.1° are merged.

a b c (Å): 4.3930 4.3930 65.8767
angles (deg): 90.00 90.00 120.00
Space group R-3m (No. 166, hexagonal axes)
Inequivalent atoms, fractional coordinates:
1 Pm 0.0000 0.0000 0.0000 x3
2 Pm 0.0000 0.0000 0.2774 x6
3 Er 0.0000 0.0000 0.4483 x6
4 Te 0.0000 0.0000 0.0856 x6
5 Te 0.0000 0.0000 0.1947 x6
6 Te 0.0000 0.0000 0.3615 x6

Principal peaks in the range 5 to 70 degrees two-theta, low angle first:
(hkl)	2θ (°)	Rel. int.
0 1 11	27.78	100.0
0 1 14	30.21	14.8
1 0 22	38.25	21.6
1 1 0	41.09	43.7
1 0 25	41.70	20.6
0 0 36	49.83	6.7
2 0 11	50.33	19.4
0 2 25	59.98	7.0
1 1 36	66.51	16.7
1 2 11	66.92	16.4

=====

No. 5
Starting from a structure optimized by DFT (GGA-PBE), the powder XRD pattern of NaMg2SnS4 was computed for λ = 1.5418 Å (Cu Kα).
Lines closer than 0.1° are merged.

a b c (Å): 5.4391 5.4391 10.6870
angles (deg): 90.00 90.00 90.00
Space group I-4m2 (No. 119)
Inequivalent atoms, fractional coordinates:
1 Na 0.0000 0.0000 0.0000 x2
2 Mg 0.0000 0.0000 0.5000 x2
3 Mg 0.0000 0.5000 0.2500 x2
4 Sn 0.0000 0.5000 0.7500 x2
5 S 0.0000 0.0000 0.2629 x4
6 S 0.0000 0.5000 0.0037 x4

Principal peaks in the range 5 to 70 degrees two-theta, low angle first:
(hkl)	2θ (°)	Rel. int.
0 0 2	16.59	21.6
1 0 1	18.30	65.8
1 1 0	23.13	20.4
1 0 3	29.99	23.8
2 0 0	32.94	100.0
0 0 4	33.54	46.4
2 1 1	37.94	22.4
2 2 0	47.27	34.4
2 0 4	47.72	65.4
2 2 4	59.20	33.6

=====

Please write out number 4 again, unchanged.
Starting from a structure optimized by DFT (GGA-PBE), the powder XRD pattern of Pm3Er2Te6 was computed for λ = 1.5418 Å (Cu Kα).
Lines closer than 0.1° are merged.

a b c (Å): 4.3930 4.3930 65.8767
angles (deg): 90.00 90.00 120.00
Space group R-3m (No. 166, hexagonal axes)
Inequivalent atoms, fractional coordinates:
>>>

2 1 3	49.91	14.9
2 1 5	55.87	29.0
2 2 0	59.66	13.1
2 1 7	64.11	19.1
3 1 2	68.86	20.6

=====

No. 3
Starting from a structure optimized by DFT (GGA-PBE), the powder XRD pattern of Tb4HoCd was computed for λ = 1.5418 Å (Cu Kα).
Lines closer than 0.1° are merged.

a b c (Å): 8.7022 14.1549 6.3100
angles (deg): 90.00 109.20 90.00
Space group C2/c (No. 15)
Inequivalent atoms, fractional coordinates:
1 Tb 0.0980 0.1909 0.0432 x8
2 Tb 0.2152 0.3775 0.3778 x8
3 Ho 0.0000 0.4110 0.7500 x4
4 Cd 0.0000 0.0005 0.7500 x4

Principal peaks in the range 5 to 70 degrees two-theta, low angle first:
(hkl)	2θ (°)	Rel. int.
1 3 1	28.41	54.5
1 1 -2	29.01	40.9
3 1 -1	31.78	91.5
0 2 2	32.61	35.4
2 2 1	32.81	100.0
2 2 -2	33.30	32.6
1 5 0	33.46	93.0
2 4 -1	33.58	33.7
1 3 -2	34.20	80.8
4 2 -3	54.20	25.6

=====

No. 4
Starting from a structure optimized by DFT (GGA-PBE), the powder XRD pattern of Pm3Er2Te6 was computed for λ = 1.5418 Å (Cu Kα).
Lines closer than 0.1° are merged.

a b c (Å): 4.3930 4.3930 65.8767
angles (deg): 90.00 90.00 120.00
Space group R-3m (No. 166, hexagonal axes)
Inequivalent atoms, fractional coordinates:
1 Pm 0.0000 0.0000 0.0000 x3
2 Pm 0.0000 0.0000 0.2774 x6
3 Er 0.0000 0.0000 0.4483 x6
4 Te 0.0000 0.0000 0.0856 x6
5 Te 0.0000 0.0000 0.1947 x6
6 Te 0.0000 0.0000 0.3615 x6

Principal peaks in the range 5 to 70 degrees two-theta, low angle first:
(hkl)	2θ (°)	Rel. int.
0 1 11	27.78	100.0
0 1 14	30.21	14.8
1 0 22	38.25	21.6
1 1 0	41.09	43.7
1 0 25	41.70	20.6
0 0 36	49.83	6.7
2 0 11	50.33	19.4
0 2 25	59.98	7.0
1 1 36	66.51	16.7
1 2 11	66.92	16.4

=====

No. 5
Starting from a structure optimized by DFT (GGA-PBE), the powder XRD pattern of NaMg2SnS4 was computed for λ = 1.5418 Å (Cu Kα).
Lines closer than 0.1° are merged.

a b c (Å): 5.4391 5.4391 10.6870
angles (deg): 90.00 90.00 90.00
Space group I-4m2 (No. 119)
Inequivalent atoms, fractional coordinates:
1 Na 0.0000 0.0000 0.0000 x2
2 Mg 0.0000 0.0000 0.5000 x2
3 Mg 0.0000 0.5000 0.2500 x2
4 Sn 0.0000 0.5000 0.7500 x2
5 S 0.0000 0.0000 0.2629 x4
6 S 0.0000 0.5000 0.0037 x4

Principal peaks in the range 5 to 70 degrees two-theta, low angle first:
(hkl)	2θ (°)	Rel. int.
0 0 2	16.59	21.6
1 0 1	18.30	65.8
1 1 0	23.13	20.4
1 0 3	29.99	23.8
2 0 0	32.94	100.0
0 0 4	33.54	46.4
2 1 1	37.94	22.4
2 2 0	47.27	34.4
2 0 4	47.72	65.4
2 2 4	59.20	33.6

=====

Please write out number 4 again, unchanged.
Starting from a structure optimized by DFT (GGA-PBE), the powder XRD pattern of Pm3Er2Te6 was computed for λ = 1.5418 Å (Cu Kα).
Lines closer than 0.1° are merged.

a b c (Å): 4.3930 4.3930 65.8767
angles (deg): 90.00 90.00 120.00
Space group R-3m (No. 166, hexagonal axes)
Inequivalent atoms, fractional coordinates: